Pre-read: The Babel plugin manual


  • Babel is introduced
  • Babel purposes
  • How does Babel escape code?
  • Babel development apis
  • Babel’s built-in features
  • Example of the Babel Plugin

Babel is introduced

Babel’s predecessor was 6to5, which was released in 2014 and featured a transition from ES6 to ES5. He changed his name to Babel.

Babel is the tower of Babel, the tower of Babel in Babylonian civilization when all the people on earth spoke the same language, and when they left the east, they came to the land of Shinar. There, people tried to burn bricks so that they could build a city and a tower that reached into the clouds and spread their fame, so that they would not be scattered all over the world. God came down to earth and saw this city and this tower, and said that people who spoke only one language could do nothing; So God disrupted their language so that they could not understand each other, scattered them all over the world, and the building of the city stopped. The city became known as the city of Babel. — Genesis 1.2

Babel purposes

1. Translate js supported by the target environment, such as ESNext and typescript

High – level language to low – level language is called compilation, high – level language to high – level language is called translation

2. Code conversion

Taro is a grammatical translation using Babel, and there is another example.

3. Code analysis

Module analysis, Tree-shaking, code compression, Linter, etc

How does Babel translate code?

Parse the source string, generate an AST, convert code changes into additions and deleters to the AST, and then print the AST as the object code string.

Babel plugin development API

Babel package

Different apis are used for different stages of Babel translation

1. Parse phase use@babel/parserThe function is to convert source code into AST

require('@babel/parser').parse(source, {

Attached: crystal structures:
........
Record 1
Simulated powder diffraction line list
Compound: Na2TlGeSe4
Radiation: copper Kα
Structure: a cell relaxed with PBE

Most intense lines, 2θ from 10° to 90°, sorted by position:
Position (°2θ), intensity
15.91, 1000
28.07, 864
29.08, 635
32.13, 425
33.31, 519
43.88, 668

Cell and atoms:
Lattice parameters (Å, degrees): 6.6776 6.6776 6.6776 107.69 107.69 113.10
Fractional coordinates of all 8 atoms:
Na 0.2500 0.7500 0.5000
Na 0.7500 0.2500 0.5000
Tl 0.0000 0.0000 0.0000
Ge 0.5000 0.5000 0.0000
Se 0.1366 0.1366 0.6473
Se 0.4893 0.4893 0.3527
Se 0.5107 0.8634 0.0000
Se 0.8634 0.5107 0.0000

***

Record 2
Simulated powder diffraction line list
Compound: LaHo3H8
Radiation: copper Kα
Structure: a cell relaxed with PBE

Most intense lines, 2θ from 10° to 90°, sorted by position:
Position (°2θ), intensity
29.39, 1000
34.06, 490
48.94, 378
58.12, 441
79.34, 179
81.83, 165

Cell and atoms:
Lattice parameters (Å, degrees): 5.2640 5.2640 5.2640 90.00 90.00 90.00
Fractional coordinates of all 12 atoms:
La 0.0000 0.0000 0.0000
Ho 0.0000 0.5000 0.5000
Ho 0.5000 0.0000 0.5000
Ho 0.5000 0.5000 0.0000
H 0.2622 0.2622 0.2622
H 0.2622 0.2622 0.7378
H 0.2622 0.7378 0.2622
H 0.2622 0.7378 0.7378
H 0.7378 0.2622 0.2622
H 0.7378 0.2622 0.7378
H 0.7378 0.7378 0.2622
H 0.7378 0.7378 0.7378

***

Record 3
Simulated powder diffraction line list
Compound: AcDy3
Radiation: copper Kα
Structure: a cell relaxed with PBE

Most intense lines, 2θ from 10° to 90°, sorted by position:
Position (°2θ), intensity
27.71, 223
30.48, 362
31.71, 1000
32.13, 456
54.94, 215
59.35, 222

Cell and atoms:
Lattice parameters (Å, degrees): 3.7384 5.8662 6.3307 90.00 90.00 90.00
Fractional coordinates of all 4 atoms:
Ac 0.0000 0.0000 0.0000
Dy 0.0000 0.5000 0.6557
Dy 0.5000 0.0000 0.4972
Dy 0.5000 0.5000 0.1649

***

Record 4
Simulated powder diffraction line list
Compound: EuCu4Sn2
Radiation: copper Kα
Structure: a cell relaxed with PBE

Most intense lines, 2θ from 10° to 90°, sorted by position:
Position (°2θ), intensity
27.44, 270
31.62, 421
34.89, 1000
42.45, 948
47.48, 178
........

sourceType: 'module'.plugins: ['jsx'.'flow'.'classProperties'.'decorator'.'decorators-legacy']});Copy the code

Plugins: Specify JSX, typescript, flow, and other plugins to parse the corresponding syntax

SourceType: Module, script, and unambiguous values. Module indicates the syntax of ES module to be resolved

The Babel of AST

Babel AST tree view

2. Use in the transform phase@babel/traverseYou can iterate over the AST and call a visitor function to modify the AST. Modifying the AST involves AST judgment, creation, modification, and so on@babel/typesWhen the need to batch create AST can be used@babel/templateTo simplify AST creation logic.


function traverse(ast,vistor) / /vistorIt could be a function it could be an object, but a function isenterNodevistorThe name is the node name and the object isenterandexitThe function called.tipsMultiple nodes can be 'FunctionDeclaration|VariableDeclaration'

Copy the code

require('@babel/traverse').default(ast, {

Program(path,state){}})Copy the code

// path api


"parent": {... },"node": {... },"hub": {... },"contexts": []."data": {},

"shouldSkip": false."shouldStop": false."removed": false."state": null."opts": null."skipKeys": null."parentPath": null."context": null."container": null."listKey": null."inList": false."parentKey": null."key": null."scope": null."type": null."typeAnnotation": null,


set(key, node)

















traverse(visitor, state)




Copy the code

@babel/types is used to create and determine AST nodes and provides apis for XXX, isXxx, assertXxx

@ Babel/template examples

3. Generate prints the AST as an object code string and generates the Sourcemap, as required@babel/generatePackage, used when an error occurs and you want to print the location of the code@babel/code-framepackage

const { code,map } = generator(ast, { sourceMaps: true });

// sourceMaps is available only when sourceMaps is set to true

Copy the code

@ Babel/code – frame example

Babel’s built-in features

1. First, let’s look at what Babel needs to do

Convert from higher version syntax and API to lower version syntax and automatically polyfill the missing API.

Babel conversion

[ES2015], ES201… And so on.

B. proposal

  • Phase 0: Just an idea, possibly implemented with the Babel Plugin

  • Stage 1: Recommendations worth continuing

  • Phase 2: Establish the spec

  • Phase 3: Complete the spec and implement it in the browser

**Records of crystals, kept here for reference**
=====
For Pm2Be6Pt9, the PBE geometry in Alexandria gives the simulated powder X-ray diffraction pattern in this record (CuKα).
Intensities are scaled so that the largest is 100.

Structural model:
```
data_Pm2Be6Pt9
_symmetry_space_group_name_H-M 'P 6/m m m'
_symmetry_Int_Tables_number 191
_symmetry_space_group_name_Hall '-P 6 2'
_cell_length_a 5.5544
_cell_length_b 5.5544
_cell_length_c 10.1558
_cell_angle_alpha 90.00
_cell_angle_beta 90.00
_cell_angle_gamma 120.00
loop_
_atom_site_label
_atom_site_type_symbol
_atom_site_fract_x
_atom_site_fract_y
_atom_site_fract_z
_atom_site_occupancy
Pm1 Pm 0.0000 0.0000 0.1915 1
Be1 Be 0.3333 0.6667 0.1663 1
Be2 Be 0.3333 0.6667 0.5000 1
Pt1 Pt 0.0000 0.5000 0.0000 1
Pt2 Pt 0.0000 0.5000 0.3352 1
```

The 12 most intense peaks (10 to 80 degrees two-theta), sorted by position:
(hkl)	2θ (°)	Rel. int.
1 0 0	18.44	13
0 0 3	26.33	42
1 0 3	32.34	49
2 0 0	37.39	100
1 1 3	42.08	27
2 0 3	46.31	60
0 0 6	54.19	11
2 1 3	57.54	20
2 2 0	67.45	19
2 0 6	67.69	32
2 2 3	73.75	15
4 0 0	79.74	11



For PmBePt, the PBE geometry in Alexandria gives the simulated powder X-ray diffraction pattern in this record (CuKα).
Intensities are scaled so that the largest is 100.

Structural model:
```
data_PmBePt
_symmetry_space_group_name_H-M 'P m m n'
_symmetry_Int_Tables_number 59
_cell_length_a 3.934
_cell_length_b 4.274
_cell_length_c 6.782
_cell_angle_alpha 90.00
_cell_angle_beta 90.00
_cell_angle_gamma 90.00
loop_
_symmetry_equiv_pos_as_xyz
'x,y,z'
'-x,-y,-z'
'-x+1/2,-y+1/2,z'
'x+1/2,y+1/2,-z'
'x+1/2,-y,-z'
'-x+1/2,y,z'
'-x,y+1/2,-z'
'x,-y+1/2,z'
loop_
_atom_site_label
_atom_site_type_symbol
_atom_site_fract_x
_atom_site_fract_y
_atom_site_fract_z
_atom_site_occupancy
Pm1 Pm 0.250 0.250 0.176 1
Be1 Be 0.250 0.750 0.500 1
Pt1 Pt 0.250 0.250 0.690 1
```

The 12 most intense peaks (10 to 80 degrees two-theta), sorted by position:
(hkl)	2θ (°)	Rel. int.
0 0 2	26.27	36
1 1 0	30.89	100
0 1 2	33.74	45
1 0 2	34.93	41
1 1 2	40.99	46
0 2 0	42.30	23
2 0 0	46.15	18
1 2 2	55.98	21
2 1 2	58.37	19
0 1 4	58.57	16
1 0 4	59.35	16
1 2 4	75.55	16
=====

  • Phase 4: Added to next year’s ES20XX spec

R. act, flow, typescript

Because of the syntax to be converted

Babel7’s built-in plug-ins to implement these features are divided into three categories: syntax, Transform, and proposal. Syntax specifies the syntax to be translated, transform converts the AST, and proposal does not include the AST transformation with features of language standards. When there are too many plug-ins a lot of common logic needs to be shared so this part is implemented in the helper.

Babel package

Because Babel has so many plugins that it is difficult to configure, the presets are designed in facade mode to make configuration easy.

Language standards of different versions are supported, such as preset- ES2015 and preset- ES2016. After babel7, preset-env is replaced

No support for standard language features: features for Stage0, StagE1, and Stage2, and a separate proposal plugin was introduced in Babel7

Support for React, JSX, and Flow: Package corresponding plug-ins as preset- React, PRESET – JSX, and PRESET -flow respectively, and use corresponding preset directly

D. Each feature is implemented with a Babel plug-in. When there are more Babel plug-ins, there will naturally be some common logic. How do we share this logic?

Babel designed a mechanism for sharing logic between plug-ins, called helpers.

There are two types of helpers:

  • One is the runtime global functions (such as class) injected into the AST

  • One is the utility functions that operate on the AST, such as the generic logic of variable promotion (such as constant definitions)

The Babel Runtime contains modules that are loaded at runtime and are packaged into the product by the packaging tool. The options are regenerator, Corejs, and Helper.

  • Corejs this is the new API’s polyfill and comes in versions 2 and 3, with 3 implementing instance method polyfill

  • Regenerator is the Runtime library of AyNC implemented by Facebook. Babel uses Regenerator – Runtime to support implementing async await support.

  • Helpers are functions that Babel uses to do syntax transformations, such as _typeof, _extends, and so on

2. The use of Babel

"presets": [["es2015",


"modules": false}]."react"."stage-2"



Copy the code

"presets": [["@babel/preset-env",


"targets": "> 0.25%, not dead." "."useBuiltIns": "usage"."corejs": 3}]],"plugins": [[



"corejs": 3}]]//babel7

Copy the code

Here we find a problem: why is there a target browser for targets? If you don’t have this it’s possible that the language of your target browser already supports it and you increase the Babel and increase the package size

Babel /preset-env causes the helper to be injected into the AST where the new feature is used. The use of @babel/ plugin-transform-Runtime is to bring these out of the module.

The Runtime code for Babel consists of two parts:

Part of this is for Polyfill, namely Corejs and ReGenerator (implementing async await), both of which are third-party implementations that Babel has integrated

The other part is the helper for transforming code, such as code that implements inheritance or implements classes, and is injected into the code by default

If @babel/ plugin-transform-Runtime is used, two changes will be made:

  1. Change the helper part of the code from injection to import from the @babel/ Runtime package

  2. The code in the Polyfill section is no longer a global import, but a module import.

So transform Runtime has two benefits:

  1. Remove the helper code for repeated injection and reduce the product volume

  2. Polyfills do not pollute the overall situation

But there are also corresponding problems

Babel will process the plug-in and preset in the following order:

  1. Use plugin first, then preset

Someone pasted records of crystals at this point
- - -
Entry 1:
The following is a theoretical powder X-ray diffraction pattern of Si23Ne. It was derived from a GGA-PBE-relaxed structure, using Cu Kα (weighted mean of Kα1 and Kα2).

Crystal structure
```
data_Si23Ne
_cell_length_a 10.2436
_cell_length_b 10.2436
_cell_length_c 10.2436
_cell_angle_alpha 90.00
_cell_angle_beta 90.00
_cell_angle_gamma 90.00
_space_group_name_H-M_alt 'P m -3 n'
_space_group_IT_number 223
_space_group_name_Hall '-P 4n 2 3'
loop_
_atom_site_label
_atom_site_fract_x
_atom_site_fract_y
_atom_site_fract_z
Si1 0.0000 0.1174 0.3081
Si2 0.0000 0.2500 0.5000
Si3 0.1839 0.1839 0.1839
Ne1 0.0000 0.0000 0.0000
```

Top 8 peaks for 2θ from 5° to 70°, by angle:
two_theta  I/Imax  hkl
12.2  25  1 1 0
19.4  88  2 1 0
21.2  34  2 1 1
32.7  100  3 2 1
36.2  30  4 1 0
40.3  28  4 2 1
52.1  62  5 3 0
55.3  49  5 3 2

---

Entry 2:
The following is a theoretical powder X-ray diffraction pattern of AcEr2Tm3. It was derived from a GGA-PBE-relaxed structure, using Cu Kα (weighted mean of Kα1 and Kα2).

Crystal structure
```
data_AcEr2Tm3
_cell_length_a 9.0573
_cell_length_b 9.8418
_cell_length_c 8.9510
_cell_angle_alpha 90.00
_cell_angle_beta 102.25
_cell_angle_gamma 90.00
_space_group_name_H-M_alt 'C 1 2/c 1'
_space_group_IT_number 15
_space_group_name_Hall '-C 2yc'
loop_
_atom_site_label
_atom_site_fract_x
_atom_site_fract_y
_atom_site_fract_z
Ac1 0.0000 0.0741 0.2500
Er1 0.1249 0.2566 0.6261
Tm1 0.0000 0.4165 0.2500
Tm2 0.2327 0.4110 0.9927
```

Top 8 peaks for 2θ from 5° to 70°, by angle:
two_theta  I/Imax  hkl
31.2  31  3 1 -1
31.3  31  2 2 -2
31.5  100  1 3 1
31.7  36  2 0 2
55.9  17  3 5 -1
56.1  13  0 6 0
56.3  19  3 3 3
62.5  12  3 3 -5

~~~~~

No. 1
Structure and simulated powder diffractogram of Ca3Mn3N5 (a DFT-relaxed cell (PBE, the Materials Project); Cu Kα).
Neutral-atom scattering factors, no anomalous dispersion.

Atomic structure:
a b c (Å): 5.5313 6.7804 8.3209
angles (deg): 107.97 104.02 94.98
Space group P-1 (No. 2)
Symmetry-distinct sites (fractional):
Ca 0.1535 0.1697 0.2010 (multiplicity 2)
Ca 0.1607 0.3699 0.8800 (multiplicity 2)
Ca 0.3227 0.9191 0.6172 (multiplicity 2)
Mn 0.1899 0.4485 0.5665 (multiplicity 2)
Mn 0.3965 0.6154 0.3010 (multiplicity 2)
Mn 0.4073 0.8220 0.9724 (multiplicity 2)
N 0.1240 0.5649 0.3848 (multiplicity 2)
N 0.2503 0.0387 0.9113 (multiplicity 2)
N 0.3085 0.7215 0.1251 (multiplicity 2)
N 0.3333 0.2103 0.5078 (multiplicity 2)
N 0.4373 0.6178 0.7754 (multiplicity 2)

Peak list (6 most intense, 5° ≤ 2θ ≤ 70°, sorted by position)
| 2theta | I/Imax | (hkl) |
| --- | --- | --- |
| 13.95 | 27.9 | 0 1 0 |
| 30.93 | 32.2 | 1 -1 2 |
| 33.58 | 57.9 | 1 2 -2 |
| 34.13 | 72.4 | 0 2 1 |
| 34.41 | 32.5 | 2 -1 0 |
| 34.72 | 100.0 | 1 0 -3 |

---

No. 2
Structure and simulated powder diffractogram of Ca3MnN3 (a DFT-relaxed cell (PBE, the Materials Project); Cu Kα).
Neutral-atom scattering factors, no anomalous dispersion.

Atomic structure:
a b c (Å): 8.3948 10.2693 5.0368
angles (deg): 90.00 90.00 90.00
- - -

  2. Plugin from front to back, PRESET from back to front

This can cause @babel/plugin-transform-runtime to be executed before the targets is reached. The unwanted Babel package has been added. This babel8 will solve this problem.

Finally, there is a question about the @babel/preset-typescript, TS-loader selection when Wen Tao shared TS last time

Babel is compiled in a single file, and each file is handled the same way. Internally, ts-Loader calls TypeScript’s official compiler, TSC. TSC compilers multiple files together because it parses module syntax, does type derivation, and checks during compilation, which is the biggest difference between the two processes. So TSC inevitably gets stuck with multiple files, whereas Babel has nothing to do with size. Babel does not resolve ts types, so namespace merge and const enum are not supported. Overall, Babel compiles TS code much faster. Babel generated code can also be compiled on demand for targets and introduce polyfills, which TSC does not support. Type check is required to run TSC –noEmit separately.

// tsconfig.json{..."compilerOptions": {"noEmit":true // Do not output files, only type checking}}Copy the code

Babel compiling typescript is a better choice

Example of the Babel Plugin

Let’s look at the demand


1. The page preview page of the small program should be written again on the B side

2. UI changes should be made on both sides at the same time.

The C-side code of Taro is applied to the Web side

Use Babel to compile to the B side to solve common code problems, use PostCSS to solve style problems

The first version

No mobx is just a matter of the component passing values twice the distance

Version 2

There are MOBX optimization CSS VH, etc

Learn about the idea of taro transformation

Design of taro component library

Taro’s goal is to implement component libraries that are available to frameworks like React and Vue.

Web Components

Taro cross-end component library design

Refer to the link

  • The Babel plugin

  • Babel plugin manual

  • Taro cross-end component library design

  • Babel compiling typescript is a better choice